
eBay announces additional measures to tackle coronavirus-related price gouging

Someone pasted calculated crystals at this point
........
The following is a computed powder diffraction line list of CaTiVO6. It was derived from the PBE+U geometry in Alexandria, using Cu Kα (weighted mean of Kα1 and Kα2).
Neutral-atom scattering factors, no anomalous dispersion.

Cell and atoms:
a b c (Å): 5.103 5.103 10.052
angles (deg): 90.00 90.00 120.00
Element x y z (fractional)
Ca 0.000 0.000 0.000
Ca 0.000 0.000 0.500
Ti 0.333 0.667 0.250
Ti 0.667 0.333 0.750
V 0.333 0.667 0.750
V 0.667 0.333 0.250
O 0.011 0.375 0.645
O 0.011 0.636 0.855
O 0.364 0.375 0.855
O 0.364 0.989 0.645
O 0.375 0.011 0.145
O 0.375 0.364 0.355
O 0.625 0.636 0.645
O 0.625 0.989 0.855
O 0.636 0.011 0.355
O 0.636 0.625 0.145
O 0.989 0.364 0.145
O 0.989 0.625 0.355

Principal peaks in the range 2θ = 5–70°, sorted by position:
(hkl)  d (Å)  Position (°2θ)  Rel. int.
0 0 2  5.026  17.65  36
1 0 2  3.319  26.86  100
1 1 0  2.551  35.18  23
1 1 2  2.275  39.62  29
2 0 2  2.023  44.81  18
1 1 4  1.790  51.01  55
2 1 2  1.585  58.21  19
1 0 6  1.567  58.96  7
3 0 0  1.473  63.12  18
2 -1 6  1.400  66.80  6

----------

1.
For SrEuAl, a structure optimized by DFT (GGA-PBE) gives the simulated powder diffraction line list in this record (a wavelength of 1.5418 Å).
Kinematic intensities with the Lorentz-polarization factor, no thermal factor.

Largest 10 diffraction maxima, sorted by position, 15 to 90 degrees two-theta:
| two_theta | I (rel.) |
| --- | --- |
| 23.56 | 68.2 |
| 25.92 | 29.8 |
| 29.97 | 100.0 |
| 32.24 | 57.4 |
| 40.03 | 20.4 |
| 41.82 | 33.7 |
| 46.24 | 20.8 |
| 52.06 | 16.9 |
| 53.77 | 16.0 |
| 56.08 | 33.6 |

Structural model:
```
3
Lattice="-1.9633 1.9633 6.8750 1.9633 -1.9633 6.8750 1.9633 1.9633 -6.8750" Properties=species:S:1:pos:R:3 pbc="T T T"
Sr 0.0000 0.0000 0.0000
Eu 0.0000 0.0000 3.7023
Al 0.0000 0.0000 8.8465
```


2.
For SrP3Rh, a structure optimized by DFT (GGA-PBE) gives the simulated powder diffraction line list in this record (a wavelength of 1.5418 Å).
Kinematic intensities with the Lorentz-polarization factor, no thermal factor.

Largest 10 diffraction maxima, sorted by position, 15 to 90 degrees two-theta:
| two_theta | I (rel.) |
| --- | --- |
| 18.71 | 12.0 |
| 26.58 | 100.0 |
| 32.71 | 8.3 |
| 37.95 | 59.4 |
| 46.93 | 42.7 |
| 54.75 | 39.5 |
| 61.87 | 18.5 |
| 68.54 | 13.3 |
| 74.92 | 20.9 |
| 87.21 | 10.8 |

Structural model:
```
5
Lattice="4.7424 0.0000 0.0000 0.0000 4.7424 0.0000 0.0000 0.0000 4.7424" Properties=species:S:1:pos:R:3 pbc="T T T"
Sr 0.0000 0.0000 0.0000
P 0.0000 2.3712 2.3712
P 2.3712 0.0000 2.3712
P 2.3712 2.3712 0.0000
Rh 2.3712 2.3712 2.3712
```


3.
For EuSc2Bi, a structure optimized by DFT (GGA-PBE) gives the simulated powder diffraction line list in this record (a wavelength of 1.5418 Å).
Kinematic intensities with the Lorentz-polarization factor, no thermal factor.

Largest 10 diffraction maxima, sorted by position, 15 to 90 degrees two-theta:
| two_theta | I (rel.) |
| --- | --- |
| 18.74 | 32.7 |
| 26.41 | 29.9 |
| 32.58 | 100.0 |
| 37.70 | 33.7 |
| 38.00 | 16.5 |
........

Press Release

eBay is continuing to take aggressive action against price gouging, including suspending hundreds of accounts; removing hundreds of thousands of listings; and suspending scores of ‘bad’ seller accounts. Specifically in the face masks and hand sanitiser categories, only pre-approved whitelisted vendors will be allowed to sell these items

eBay UK has announced it is to heavily restrict the sale of all masks and hand sanitiser products from its platform in a bid to stamp out unreasonably priced listings. Unscrupulous sellers attempting to sell these items will find their listings blocked or removed and their account suspended.

Only a whitelist of closely vetted eBay sellers will be permitted to continue trading these items at appropriate prices, enabling people to continue sourcing the items they need. Other products will be reviewed on an ongoing basis.

Following the outbreak of coronavirus, eBay had started to see a small but growing number of sellers attempting to exploit other users by listing in-demand products at unreasonably inflated prices – an activity known as ‘price gouging’.  eBay has zero-tolerance for this type of behaviour and, like governments and business around the world, has adapted and evolved its policies as the coronavirus pandemic has developed. Since the outbreak, eBay has updated its measures and removed listings that are priced unfairly.

Since the end of February, eBay has had block filter algorithms in place and a global security team working around the clock to remove listings and taken enforcement action against unscrupulous sellers who persist in attempting to circumvent eBay filters. New and additional measures are continually being introduced, and eBay has increased the size of its global security enforcement team. To date, eBay has removed over 350,000 items relating to coronavirus and has suspended hundreds of seller accounts.

eBay is an open marketplace with 1.3 billion listings live at any given time. For over 24 years, it has remained a popular platform for millions of people around the world to trade items – and the overwhelming majority of sellers do not attempt to exploit other users. For example, recent analysis of relevant protection masks sold on eBay shows that 95% were bought at reasonable prices.

Rob Hattrell, eBay UK Vice-President, said: “Our policy is simple and clear. We do not allow the unfair exploitation of our customers. Price gouging, particularly during this period when people are worried, will not be tolerated on eBay.  We are doing all we can to abolish this selfish behaviour that is having a wider impact across the retail landscape. I can confirm we have already suspended hundreds of accounts and will continue to take all the necessary enforcement action on sellers who persist with this behaviour.   

“The reality is that unreasonably priced listings are already being blocked or removed from eBay. Where users are trying to circumvent our filters, they are finding that people are not buying products at their unreasonable prices. It’s not working for them. We will implement new measures designed to ensure only legitimate sellers are permitted on site and customers will only see fairly priced items.

“The wellbeing of our users in the UK has always and will always be eBay’s priority, and we are absolutely dedicated to ensuring everyone can find the products they need at reasonable prices during this difficult time.”

This update is part of an aligned global eBay initiative.